Those of you who track “Presbyterian” on Twitter know that the twitterverse came alive yesterday afternoon with retweets of a message from @Presbyterian that said:
“Clergy” and “laity” are not Presbyterian terminology:
The URL links back to a Presbyterian News Service article titled “Collegial leadership: Joe Small says clergy and laity are not Presbyterian terminology“
There is much to like in this article and I agree with nearly all of it and I think anyone in any Presbyterian branch would agree as well. The article is based on a talk that the Rev. Joseph Small, director of the PC(USA) Office of Theology and Worship, gave in Minnesota at a Synod of Lakes and Prairies training event to presbyters serving on the Committees on Ministry and Preparation for Ministry. I can only say that I am sorry we only got the summary and not the full text.
I would first emphasize that he highlights a problem with words that I commented on about a month ago. In that case the narrative of the latest Presbyterian Panel report identified “elders” as “lay leaders.” From the sound of Rev. Small’s comments he was clearly not involved in writing that paragraph. I came at that issue from the point of view of pastors/clergy and elders sharing equally in the governance of the church and ruling elders, in my understanding, do not equate to laity. In this article the Rev. Small seems to clearly agree, speaking of ordained officers (teaching elders, ruling elders, and deacons) being “genuine colleagues in ministry.”
### Misplaced crystal structures
Diffraction record for LiY2AlO5. The PXRD pattern is calculated, not measured: it uses the GGA-PBE geometry in Alexandria and Cu Kα (weighted mean of Kα1 and Kα2).

Peak list (8 most intense, 2θ = 10–90°, sorted by position)
| d [Å] | 2theta | Rel. int. |
| --- | --- | --- |
| 5.573 | 15.90 | 1000 |
| 4.538 | 19.56 | 238 |
| 2.870 | 31.16 | 175 |
| 2.783 | 32.17 | 630 |
| 2.552 | 35.17 | 754 |
| 1.999 | 45.36 | 617 |
| 1.907 | 47.69 | 216 |
| 1.499 | 61.89 | 204 |

Atomic structure:
```
LiY2AlO5
1.0
6.4183 0.0000 0.0000
0.0000 6.4183 0.0000
0.0000 0.0000 5.5726
Li Y Al O
2 4 2 10
Direct
0.0000 0.0000 0.0000
0.5000 0.5000 0.0000
0.1786 0.3214 0.5000
0.3214 0.8214 0.5000
0.6786 0.1786 0.5000
0.8214 0.6786 0.5000
0.0000 0.5000 0.0000
0.5000 0.0000 0.0000
0.0000 0.0000 0.5000
0.1365 0.6365 0.2350
0.1365 0.6365 0.7650
0.3635 0.1365 0.2350
0.3635 0.1365 0.7650
0.5000 0.5000 0.5000
0.6365 0.8635 0.2350
0.6365 0.8635 0.7650
0.8635 0.3635 0.2350
0.8635 0.3635 0.7650
```

---

Diffraction record for Li2ZrAlO4. The PXRD pattern is calculated, not measured: it uses the GGA-PBE geometry in Alexandria and Cu Kα (weighted mean of Kα1 and Kα2).

Peak list (8 most intense, 2θ = 10–90°, sorted by position)
| d [Å] | 2theta | Rel. int. |
| --- | --- | --- |
| 4.854 | 18.28 | 154 |
| 3.768 | 23.61 | 1000 |
| 2.537 | 35.38 | 228 |
| 2.484 | 36.17 | 181 |
| 2.427 | 37.04 | 214 |
| 2.044 | 44.32 | 348 |
| 1.797 | 50.82 | 230 |
| 1.563 | 59.09 | 198 |

Atomic structure:
```
Li2ZrAlO4
1.0
4.0879 0.0000 0.0000
0.0000 4.0879 0.0000
0.0000 0.0000 9.7084
Li Zr Al O
4 2 2 8
Direct
0.0000 0.0000 0.0000
0.0000 0.5000 0.2500
0.5000 0.0000 0.7500
0.5000 0.5000 0.5000
0.0000 0.5000 0.7500
0.5000 0.0000 0.2500
0.0000 0.0000 0.5000
0.5000 0.5000 0.0000
0.0000 0.0000 0.3083
0.0000 0.0000 0.6917
0.0000 0.5000 0.5141
0.0000 0.5000 0.9859
0.5000 0.0000 0.0141
0.5000 0.0000 0.4859
0.5000 0.5000 0.1917
0.5000 0.5000 0.8083
```

---

Diffraction record for Li2AlOs. The PXRD pattern is calculated, not measured: it uses the GGA-PBE geometry in Alexandria and Cu Kα (weighted mean of Kα1 and Kα2).

Peak list (8 most intense, 2θ = 10–90°, sorted by position)
| d [Å] | 2theta | Rel. int. |
| --- | --- | --- |
| 4.271 | 20.80 | 463 |
| 3.947 | 22.53 | 1000 |
| 2.615 | 34.29 | 365 |
| 2.398 | 37.50 | 300 |
| 2.338 | 38.51 | 199 |
| 2.051 | 44.17 | 531 |
| 1.975 | 45.94 | 271 |
| 1.695 | 54.11 | 202 |

Atomic structure:
```
Li2AlOs
1.0
2.7471 0.0000 0.0000
0.0000 4.4508 0.0000
0.0000 0.0000 8.5418
Li Al Os
4 2 2
Direct
0.0000 0.0000 0.0000
0.0000 0.5000 0.2726
0.5000 0.0000 0.7726
0.5000 0.5000 0.5000
0.0000 0.0000 0.5194
0.5000 0.5000 0.0194
0.0000 0.5000 0.7592
0.5000 0.0000 0.2592
```

---

Diffraction record for Li3AlOs. The PXRD pattern is calculated, not measured: it uses the GGA-PBE geometry in Alexandria and Cu Kα (weighted mean of Kα1 and Kα2).

Peak list (8 most intense, 2θ = 10–90°, sorted by position)
| d [Å] | 2theta | Rel. int. |
| --- | --- | --- |
| 4.640 | 19.13 | 707 |
This article highlights what should be our appropriate use of certain terms. At this point I should probably confess my regular use of the term “clergy” in my writing. I’ll keep pondering this to see if I want a style change. My intent is not to use the term “clergy” in opposition to “lay” but to have a nice short word for that category. In the PC(USA) the appropriate phrase is usually “Minister of Word and Sacrament” but both for length and variety I try to switch up the terms. I try to avoid shortening that phrase to “minister” since, as Rev. Small points out, all officers are involved in ministry and therefore are ministers. The preferable shorter phrase is “teaching elder,” a phrase I like and use regularly. And in other Presbyterian branches the initials TE are regularly used and understood for this making a nice shorthand. Maybe I should use it more — and it comes endorsed by Rev. Small, the article saying that he favors the use of “ruling elder” and “teaching elder.” Sometimes the logical term, and one that is used in this article, is “pastor.” In my usage, I try to not use this term unless I am specifically referring to a teaching elder who is working in a congregational setting. In the PC(USA) this is an important distinction because according to the 2008 breakdown of the “Active Ministers” [sic] of the 13,462 recorded as active I would count 9176 of them as being in a congregational setting leaving almost one-third (31.9%) in other ministries. With that large a number not doing traditional pastoral work I tend to avoid using the word “pastor” unless I specifically mean someone working in a congregation. (It also comes with the complexity of having Commissioned Lay Pastors who are not Ministers of Word and Sacrament but still doing pastoral work in congregations.)
So that is the collection of terms that we can use to refer to teaching elders depending on setting and space. Now that TE Small has brought this to the attention of the PC(USA) I am looking forward to a standardization of usage across the denominational publications.
One additional comment in this article struck me and I would like to comment on it. At one point in the article there is the line:
[Small] said, deacons are called to “leading the whole church in the ministry of compassion and justice.”
For those following the current discussions about the role of women in deacon ministry in the PCA you know that the discussion going on right this moment is about just that. Is the role of deacon a ministry of service only or a ministry of leadership in service? Specifically, can women served as commissioned assistants to the board of deacons? On the one hand, the Bayly Blog brings us word of a proposed overture from Metro Atlanta Presbytery to the GA that would add the following line to the section on deacons [9-7] in the Book of Church Order:
These assistants to the deacons, selected by means determined by each Session, may be commissioned, but not ordained.
Within the rational section the writers of the overture say:
WHEREAS, the diaconal ministry is that of sympathy and service, not of spiritual and ecclesiastical governance, and any authority that may be attached to the office of deacon is a derivative authority, with plurality of elders serving as the final authority in a local church(BCO 9-1; 9-2; 9-6);
On the other side is an overture from Central Carolina Presbytery that wants to make it clear that “commissioned” deacons and deaconesses are not acceptable under the BCO by adding at the same place the line:
These assistants to the deacons shall not be referred to as deacons or deaconesses, nor are they to be elected by the congregation nor formally commissioned, ordained, or installed as though they were office bearers in the church.
I will consider the overtures to the GA at a later time but in light of this discussion it seems that TE Small’s comments seem to support the role of deacons as one of leadership as well as service. You can check out the post on the Bayly Blog for their critique of the Metro Atlanta Presbytery proposed overture. I have not yet seen a discussion of the Central Carolina overture, but if anyone is going to get to it before I have the time it will probably be the great polity wonks over at A Profitable Word.
It is interesting that while we complain about the mainstream media not understanding our system of polity, frequently we are not as clear and consistent ourselves and among ourselves using some of these terms. Something to keep in mind.